Brief =
It remains to return all of the lines underneath verbatim.

Source =
=====
{
  "formula": "Tb2Er5Sc4",
  "functional": "PBE",
  "state": "relaxed",
  "lattice_angstrom": [[-0.391, -3.450, -0.401], [7.481, -0.346, -4.319], [6.036, -1.692, 8.680]],
  "species": ["Tb", "Tb", "Er", "Er", "Er", "Er", "Er", "Sc", "Sc", "Sc", "Sc"],
  "frac_coords": [[0.000, 0.924, 0.637], [0.000, 0.076, 0.363], [0.000, 0.454, 0.332], [0.000, 0.852, 0.133], [0.000, 0.500, 0.000], [0.000, 0.148, 0.867], [0.000, 0.546, 0.668], [0.500, 0.250, 0.574], [0.500, 0.799, 0.872], [0.500, 0.750, 0.426], [0.500, 0.201, 0.128]],
  "polymorph_energy_kj_per_mol_atoms": 0.0,
  "spacegroup": "P2/m (10)",
  "ef_ev_per_fu": 1.275,
  "total_energy_ev_per_atom": -5.102
}

---

{
  "formula": "CaNdSm6",
  "functional": "PBE",
  "state": "relaxed",
  "lattice_angstrom": [[4.994, 0.000, 1.363], [2.296, 5.733, 1.419], [0.040, -0.102, 9.682]],
  "species": ["Ca", "Nd", "Sm", "Sm", "Sm", "Sm", "Sm", "Sm"],
  "frac_coords": [[0.000, 0.500, 0.500], [0.000, 0.000, 0.000], [0.247, 0.878, 0.629], [0.502, 0.240, 0.756], [0.252, 0.374, 0.122], [0.498, 0.760, 0.244], [0.753, 0.122, 0.371], [0.748, 0.626, 0.878]],
  "polymorph_energy_kj_per_mol_atoms": 0.0,
  "spacegroup": "C2/m (12)",
  "ef_ev_per_fu": 0.388,
  "total_energy_ev_per_atom": -4.337
}

---

{
  "formula": "Mn2AgOs",
  "functional": "PBE",
  "state": "relaxed",
  "lattice_angstrom": [[-1.486, 3.268, 3.857], [-3.635, -1.552, 3.484], [4.739, -0.759, -2.174]],
  "species": ["Ag", "Mn", "Mn", "Os"],
  "frac_coords": [[0.249, 0.749, 0.500], [0.986, 0.986, 0.000], [0.743, 0.243, 0.500], [0.522, 0.522, 0.000]],
  "spacegroup": "Imm2 (44)",
  "ef_ev_per_fu": 1.803,
  "total_energy_ev_per_atom": -7.654
}

---

{
  "formula": "TePtI2",
  "functional": "PBE",
  "state": "relaxed",
  "lattice_angstrom": [[2.051, -1.408, -3.221], [2.910, 2.274, -1.711], [7.632, -3.318, 3.748]],
  "species": ["Te", "Pt", "I", "I"],
  "frac_coords": [[0.522, 0.522, 0.435], [0.242, 0.242, 0.274], [0.967, 0.967, 0.098], [0.770, 0.770, 0.692]],
  "spacegroup": "Cm (8)",
  "total_energy_ev_per_atom": -3.276,
  "raw_formation_energy_ev_per_atom": -0.205
}

=====

Density functional theory data (GGA-PBE) for crystalline MgTaOs at its relaxed geometry.

Output
* energy relative to the elements: 17 kJ/mol of atoms
* ΔE to the lowest computed polymorph: 164 meV/atom
* Fermi-level density of states: 1.007 states/eV/atom
* V: 52 Å³/f.u.

Unit cell a=3.144 b=4.730 c=13.870 alpha=90.00 beta=90.00 gamma=90.00
Space group Fmm2 (No. 42)
Asymmetric unit:
Mg: 0.000 0.000 0.000 x4
Ta: 0.000 0.000 0.315 x4
Os: 0.000 0.000 0.664 x4

Density functional theory data (GGA-PBE) for crystalline KAuSe2 at its relaxed geometry.

Output
* Fermi-level density of states: 0.219 states/eV/atom
* V: 94 Å³/f.u.

Unit cell a=3.045 b=5.560 c=5.576 alpha=90.00 beta=90.00 gamma=90.00
Space group Pmm2 (No. 25)
Asymmetric unit:
K: 0.000 0.000 0.000 x1
Au: 0.500 0.500 0.474 x1
Se: 0.500 0.000 0.498 x1
Se: 0.500 0.500 0.973 x1

| no. | uncorrected energy (eV per cell) |
| --- | --- |
| 1 | -96.6 |
| 2 | -12.6 |

=====

No. 1
Computed, not measured: an optimized crystal structure of SmGdInCu2 at the PBE-GGA level of DFT.

The structure in POSCAR format:
```
SmGdInCu2
1.0
3.644 0.000 0.000
0.000 2.157 7.050
0.000 -2.157 7.050
Sm Gd In Cu
=====

Outcome =
{
  "formula": "Tb2Er5Sc4",
  "functional": "PBE",
  "state": "relaxed",
  "lattice_angstrom": [[-0.391, -3.450, -0.401], [7.481, -0.346, -4.319], [6.036, -1.692, 8.680]],
  "species": ["Tb", "Tb", "Er", "Er", "Er", "Er", "Er", "Sc", "Sc", "Sc", "Sc"],
  "frac_coords": [[0.000, 0.924, 0.637], [0.000, 0.076, 0.363], [0.000, 0.454, 0.332], [0.000, 0.852, 0.133], [0.000, 0.500, 0.000], [0.000, 0.148, 0.867], [0.000, 0.546, 0.668], [0.500, 0.250, 0.574], [0.500, 0.799, 0.872], [0.500, 0.750, 0.426], [0.500, 0.201, 0.128]],
  "polymorph_energy_kj_per_mol_atoms": 0.0,
  "spacegroup": "P2/m (10)",
  "ef_ev_per_fu": 1.275,
  "total_energy_ev_per_atom": -5.102
}

---

{
  "formula": "CaNdSm6",
  "functional": "PBE",
  "state": "relaxed",
  "lattice_angstrom": [[4.994, 0.000, 1.363], [2.296, 5.733, 1.419], [0.040, -0.102, 9.682]],
  "species": ["Ca", "Nd", "Sm", "Sm", "Sm", "Sm", "Sm", "Sm"],
  "frac_coords": [[0.000, 0.500, 0.500], [0.000, 0.000, 0.000], [0.247, 0.878, 0.629], [0.502, 0.240, 0.756], [0.252, 0.374, 0.122], [0.498, 0.760, 0.244], [0.753, 0.122, 0.371], [0.748, 0.626, 0.878]],
  "polymorph_energy_kj_per_mol_atoms": 0.0,
  "spacegroup": "C2/m (12)",
  "ef_ev_per_fu": 0.388,
  "total_energy_ev_per_atom": -4.337
}

---

{
  "formula": "Mn2AgOs",
  "functional": "PBE",
  "state": "relaxed",
  "lattice_angstrom": [[-1.486, 3.268, 3.857], [-3.635, -1.552, 3.484], [4.739, -0.759, -2.174]],
  "species": ["Ag", "Mn", "Mn", "Os"],
  "frac_coords": [[0.249, 0.749, 0.500], [0.986, 0.986, 0.000], [0.743, 0.243, 0.500], [0.522, 0.522, 0.000]],
  "spacegroup": "Imm2 (44)",
  "ef_ev_per_fu": 1.803,
  "total_energy_ev_per_atom": -7.654
}

---

{
  "formula": "TePtI2",
  "functional": "PBE",
  "state": "relaxed",
  "lattice_angstrom": [[2.051, -1.408, -3.221], [2.910, 2.274, -1.711], [7.632, -3.318, 3.748]],
  "species": ["Te", "Pt", "I", "I"],
  "frac_coords": [[0.522, 0.522, 0.435], [0.242, 0.242, 0.274], [0.967, 0.967, 0.098], [0.770, 0.770, 0.692]],
  "spacegroup": "Cm (8)",
  "total_energy_ev_per_atom": -3.276,
  "raw_formation_energy_ev_per_atom": -0.205
}

=====

Density functional theory data (GGA-PBE) for crystalline MgTaOs at its relaxed geometry.

Output
* energy relative to the elements: 17 kJ/mol of atoms
* ΔE to the lowest computed polymorph: 164 meV/atom
* Fermi-level density of states: 1.007 states/eV/atom
* V: 52 Å³/f.u.

Unit cell a=3.144 b=4.730 c=13.870 alpha=90.00 beta=90.00 gamma=90.00
Space group Fmm2 (No. 42)
Asymmetric unit:
Mg: 0.000 0.000 0.000 x4
Ta: 0.000 0.000 0.315 x4
Os: 0.000 0.000 0.664 x4

Density functional theory data (GGA-PBE) for crystalline KAuSe2 at its relaxed geometry.

Output
* Fermi-level density of states: 0.219 states/eV/atom
* V: 94 Å³/f.u.

Unit cell a=3.045 b=5.560 c=5.576 alpha=90.00 beta=90.00 gamma=90.00
Space group Pmm2 (No. 25)
Asymmetric unit:
K: 0.000 0.000 0.000 x1
Au: 0.500 0.500 0.474 x1
Se: 0.500 0.000 0.498 x1
Se: 0.500 0.500 0.973 x1

| no. | uncorrected energy (eV per cell) |
| --- | --- |
| 1 | -96.6 |
| 2 | -12.6 |

=====

No. 1
Computed, not measured: an optimized crystal structure of SmGdInCu2 at the PBE-GGA level of DFT.

The structure in POSCAR format:
```
SmGdInCu2
1.0
3.644 0.000 0.000
0.000 2.157 7.050
0.000 -2.157 7.050
Sm Gd In Cu